He used to be the heavy kid who became the target for plenty of giggling and teasing.
Even when he reached adulthood, he couldn’t shake the stigma of obesity.
Finally, six years ago, a close-to-300-pound Tyler Murphy decided enough was enough.
With the help of a friend, he took up running and in a matter of months turned himself into a 23-minute 5K runner.
Oh, and he lost more than 100 pounds along the way.
So who’s laughing now?
Well, in all honesty, people still chuckle when the Langhorne resident is around, but the big difference is they’re laughing WITH him, not AT him.
You see, the 51-year-old Murphy has perhaps the funniest, most irreverent sense of humor in the Bucks County adult running community.
His jokes, often self-effacing, bring smiles to the most hardened/all-business runners. It’s just what a gathering of striders need when they start taking themselves a little too seriously.
The lifelong Langhorne resident has worked his way all the way up to the Philadelphia Marathon and beyond, eventually taking on the biggest challenge of all, the ultramarathon.
“Murph’’ is an inspiration for anyone who has ever put on too much weight and thought taking it off was a lost cause.
In a recent telephone conversation, he explained how the transformation all came about.
“I had young kids, I was complacent and I really wasn’t doing anything physical,’’ said Murphy, a teacher at Pennridge High School in Perkasie. “I always liked to joke that the only thing I used to run after was the ice cream truck!’’
See, that’s a pretty good one.
“I weighed myself, it said 288 and I said I’m never getting on a scale again,’’ he said. “I started the ‘Couch to 5K’ program. That’s how I initially got into running and ran for a couple years. Then I kind of hit a plateau.’’
As it turns out, one of his students, Ryan Sterling, helped him take the next step. The young man had an interest in the study of fitness and training.
“I said if you’re really interested in training someone, I could probably be the worst test-case possible,’’ Murphy said. “He told me you have to commit. Now, he’s a student at the University of Vermont’s law school. We just bonded from this friendship from it. He would make a plan, put it in a Google box – I would run three days a week, go to the gym three days a week. In less than five months in 2015, I lost 50 pounds. And the total eventually became over 100.’’
It only got better from there. Murphy had never been much athletic as a child, for obvious reasons, but now he had unlocked the door to a whole new world of speed and self-esteem.
At one point he got all the way down to 173 pounds. If only those childhood detractors could see him now.
Records of crystals that have nothing to do with the article:
'''
Starting from a DFT-relaxed cell (PBE, Alexandria), the powder diffractogram of ZnCu3P4O14 was calculated for a wavelength of 1.5418 Å.
Kinematic intensities with the Lorentz-polarization factor, no thermal factor.

Top 10 peaks for 2θ from 10° to 90°, by intensity:
2θ (°), I/Imax
32.28, 100
34.55, 89
28.67, 82
25.41, 67
28.87, 64
35.46, 55
21.84, 55
19.85, 51
45.19, 43
29.91, 42

Atomic structure:
```
44
Lattice="7.202 0.000 0.000 0.000 8.138 0.000 -2.665 0.000 8.947" Properties=species:S:1:pos:R:3 pbc="T T T"
Zn 0.000 0.000 0.000
Zn -1.332 4.069 4.473
Cu 1.023 1.070 4.455
Cu -0.310 2.999 8.929
Cu 3.601 0.000 0.000
Cu 2.269 4.069 4.473
Cu 4.847 5.139 0.018
Cu 3.515 7.068 4.492
P -1.324 0.181 6.282
P 0.008 3.888 1.808
P 2.300 5.824 1.785
P 0.967 6.383 6.258
P 3.570 1.755 2.689
P 2.238 2.314 7.162
P 4.529 4.250 7.138
P 5.862 7.957 2.665
O 0.092 0.068 3.068
O -1.240 4.001 7.541
O -1.268 0.476 7.824
O 0.064 3.594 3.351
O -0.574 1.293 5.551
O 0.758 2.777 1.078
O 0.782 5.296 1.589
O -0.550 6.911 6.062
O 0.953 4.976 5.660
O 2.286 7.231 1.186
O 2.509 5.775 3.332
O 1.177 6.432 7.806
O 3.206 4.857 1.043
O 1.874 7.350 5.516
O 2.664 0.788 3.431
O 1.332 3.281 7.904
O 3.361 1.706 1.141
O 2.029 2.363 5.615
O 2.252 0.907 7.760
O 3.584 3.162 3.287
O 5.088 1.227 2.885
O 3.756 2.842 7.358
O 3.779 5.362 7.869
O 5.112 6.846 3.396
O 4.473 4.545 5.596
O 5.806 7.663 1.123
O 5.777 4.137 1.406
O 4.445 8.070 5.879
```

* * * * *

# UVSe
Computed powder X-ray diffraction pattern, copper Kα. Input: a structure optimized by DFT (GGA-PBE).
Lines closer than 0.1° are merged.

Crystal structure
a = 8.8562 Å, b = 8.8562 Å, c = 3.2906 Å
α = 90.00°, β = 90.00°, γ = 90.00°
Space group P4_2/m (No. 84)
One atom of each set of equivalent atoms:
U1 0.0149 0.2104 0.0000
V1 0.2338 0.7136 0.5000
Se1 0.2046 0.4279 0.5000

The 10 most intense peaks (10 to 90 degrees two-theta), sorted by position:
| 2theta | intensity | index |
| --- | --- | --- |
| 28.51 | 39 | 2 2 0 |
| 33.94 | 100 | 2 0 1 |
| 35.47 | 26 | 1 2 1 |
| 36.58 | 41 | 3 2 0 |
| 40.75 | 19 | 4 0 0 |
| 41.08 | 43 | 3 0 1 |
| 51.60 | 18 | 5 0 0 |
| 54.05 | 17 | 4 2 1 |
| 63.21 | 21 | 5 2 1 |
| 68.66 | 14 | 3 2 2 |

# LiScCdCl6
Computed powder X-ray diffraction pattern, copper Kα. Input: a structure optimized by DFT (GGA-PBE).
Lines closer than 0.1° are merged.

Crystal structure
a = 6.5305 Å, b = 6.5305 Å, c = 11.8045 Å
α = 90.00°, β = 90.00°, γ = 120.00°
Space group P-31c (No. 163)
One atom of each set of equivalent atoms:
Li1 0.0000 0.0000 0.0000
Sc1 0.3333 0.6667 0.2500
Cd1 0.3333 0.6667 0.7500
Cl1 0.0183 0.3520 0.1278

The 10 most intense peaks (10 to 90 degrees two-theta), sorted by position:
| 2theta | intensity | index |
| --- | --- | --- |
| 15.01 | 46 | 0 0 2 |
| 15.67 | 33 | 1 0 0 |
| 17.39 | 17 | 1 0 1 |
| 21.76 | 32 | 1 0 2 |
| 31.31 | 100 | 1 1 2 |
| 41.23 | 57 | 1 1 4 |
| 48.28 | 32 | 3 0 0 |
| 54.45 | 19 | 2 -1 6 |
| 58.67 | 13 | 4 -2 2 |
| 65.32 | 14 | 4 -2 4 |

# BaCaAlPd
'''
“It (the drastic weight loss) didn’t seem like a big thing at the time but my head was in the right place to do it,’’ he said. “I was always the fat kid. My mom was like the mom who, if you fell and skinned your knee, you got pudding. We were all emotional eaters that way.’’
Sometimes it takes a wake-up moment to turn things around.
“I remember I was about 42 years old,’’ Murphy said. “I was at the beach and I saw my shadow. I kind of looked like Alfred Hitchcock. I showed someone a photo at school and they were like, ‘my God!’ I was like, ‘I know!’ That’s when I started Couch to 5K. Then I ran my first 5K, the Newtown 5K.’’
Murphy is a Lower Bucks Christian Academy graduate and later received a degree from Messiah University.
During those years he developed a knack for his patented one-liners.
“It’s a way to be with the crowd and feel you’re engaging and entertaining,’’ he said. “It was a survival technique growing up. I would say (now) that running breaks you down. All the stuff you think is important to yourself or build yourself up as, whenever you’re out on a long run, that dismantles all that crap.’’
The clock can be unforgiving, especially in the latter stages of a race.
“I feel like I am the man I am today simply because I run,’’ he said.
In the classroom, he shows students his “before and after’ ’shot and they can’t believe the before photo is really him.
**Unrelated to this entry: data records:**
- - -
# Ba3In2Ag4
Theoretical X-ray powder pattern, Cu Kα (λ = 1.5418 Å). Input: DFT lattice parameters and positions (GGA-PBE).

```
Ba3In2Ag4
1.0
6.1355 -2.5371 0.0000
6.1355 2.5371 0.0000
-3.3495 0.0000 9.0731
Ba In Ag
3 2 4
Direct
0.0000 0.0000 0.0000
0.3614 0.3614 0.3108
0.6386 0.6386 0.6892
0.3403 0.3403 0.6729
0.6597 0.6597 0.3271
0.0976 0.0976 0.4210
0.2742 0.2742 0.9351
0.7258 0.7258 0.0649
0.9024 0.9024 0.5790
```

Largest 10 diffraction maxima, sorted by position, 2θ from 10° to 90°:
- 2θ 28.08, I = 26
- 2θ 29.16, I = 100
- 2θ 29.38, I = 75
- 2θ 29.54, I = 38
- 2θ 35.38, I = 63
- 2θ 35.50, I = 99
- 2θ 35.85, I = 24
- 2θ 46.44, I = 22
- 2θ 55.47, I = 26
- 2θ 63.59, I = 29

~~~~~

For CsThWO6, the PBE+U geometry in Alexandria gives the simulated X-ray diffraction stick pattern in this record (Cu Kα (weighted mean of Kα1 and Kα2)).
No peak broadening, texture or thermal motion is included.

Structure:
```
CsThWO6
1.0
2.855 -5.175 0.000
2.855 5.175 0.000
-0.126 0.000 6.555
Cs Th W O
1 1 1 6
Direct
0.000 0.000 0.000
0.670 0.330 0.500
0.347 0.653 0.500
0.045 0.618 0.673
0.048 0.418 0.322
0.363 0.394 0.663
0.382 0.955 0.327
0.582 0.952 0.678
0.606 0.637 0.337
```

Most intense lines, 10° ≤ 2θ ≤ 90°, most intense first:
2theta  I/Imax
13.51  100
22.18  77
22.55  76
30.27  69
21.88  66
40.93  47
27.21  42
41.36  32

~~~~~

No. 1
# ScBe8Co3
Theoretical powder diffraction line list, copper Kα. Input: a structure optimized by DFT (PBE).

Crystal structure
```
data_ScBe8Co3
_space_group_name_H-M_alt 'P 3 m 1'
_space_group_IT_number 156
_space_group_name_Hall 'P 3 -2"'
_cell_length_a 4.2626
_cell_length_b 4.2626
_cell_length_c 7.0562
_cell_angle_alpha 90.00
_cell_angle_beta 90.00
_cell_angle_gamma 120.00
loop_
_atom_site_label
_atom_site_type_symbol
_atom_site_fract_x
_atom_site_fract_y
_atom_site_fract_z
_atom_site_occupancy
Sc1 Sc 0.0000 0.0000 0.0000 1
Be1 Be 0.1650 0.3300 0.6726 1
Be2 Be 0.3333 0.6667 0.4409 1
Be3 Be 0.3333 0.6667 0.9272 1
Be4 Be 0.5036 0.0071 0.2115 1
Co1 Co 0.0000 0.0000 0.3729 1
Co2 Co 0.6667 0.3333 0.5033 1
Co3 Co 0.6667 0.3333 0.8642 1
```

Top 10 peaks for 2θ from 10° to 80°, by intensity:
- hkl 1 0 3, 45.74°, 1.984 Å, intensity 100
- hkl 1 1 0, 42.41°, 2.131 Å, intensity 84
- hkl 1 0 0, 24.11°, 3.692 Å, intensity 70
- hkl 1 1 2, 50.00°, 1.824 Å, intensity 59
- hkl 1 0 1, 27.26°, 3.271 Å, intensity 56
- hkl 0 0 2, 25.24°, 3.528 Å, intensity 37
- hkl 2 1 3, 79.95°, 1.200 Å, intensity 33
- hkl 1 0 2, 35.19°, 2.551 Å, intensity 28
- hkl 0 2 1, 51.15°, 1.786 Å, intensity 22
- hkl 2 0 3, 64.14°, 1.452 Å, intensity 21

=====

No. 2
# La6PS2Cl3
Theoretical powder diffraction line list, copper Kα. Input: a structure optimized by DFT (PBE).

Crystal structure
```
data_La6PS2Cl3
_space_group_name_H-M_alt 'C 1 2/m 1'
_space_group_IT_number 12
_space_group_name_Hall '-C 2y'
_cell_length_a 7.238
_cell_length_b 12.523
_cell_length_c 7.270
_cell_angle_alpha 90.00
_cell_angle_beta 109.31
_cell_angle_gamma 90.00
loop_
_atom_site_label
- - -
Of course, improved diet and better rest habits played a part in this renaissance – all part of his new running lifestyle.
And instead of worrying about what he ate, he became more diligent about how much he ate. Smaller plates, smaller servings, smaller calorie intake.
In recent years, Murphy has become even more involved with the running lifestyle by starting an apparel company, “RunBro,’’ along with friend Tim Kelly, a fellow Pennridge teacher. Occasionally they would run together after school. It sort of started as a lark but now the movement has a national following.
“RunBro, that’s what we would call each other,’’ Murphy said. “Once I said ‘I think we could make shirts and sell them.’ We could get people on social media in and it would be a fun thing. Now are there are 250 people from 30 states represented.’’
Murphy says he would not be the runner he is today without the support of the Bucks County Roadrunners. He’s struck up many friendships there and no doubt the interactions with the club have made him a better performer.
So what’s the message to come out of his amazing evolution from couch potato to 50K ultramarathoner?
“For me, I would say it’s never too late to start,’’ Murphy said. “I didn’t start until I was in my forties. I think some people think they’ve missed their opportunity. But there’s always another one. They just have to make it.’’
Race calendar
Bucks County Roadrunners Winter Series Wild Card (4-6 Miler), 9 a.m., Tyler State Park, Newtown. Contact www.bcrrclub.com